********
# Ca2SmTmS4
Calculated powder diffraction line list, a wavelength of 1.5418 Å. Input: a cell relaxed with GGA-PBE.
Kinematic intensities with the Lorentz-polarization factor, no thermal factor.

Crystal structure
```
8
Lattice="6.8472 0.0000 0.0000 0.0000 3.9482 0.0000 -2.2756 0.0000 6.5625" Properties=species:S:1:pos:R:3 pbc="T T T"
Ca 0.0000 0.0000 0.0000
Ca 3.4236 1.9741 0.0000
Sm -1.1378 1.9741 3.2812
Tm 2.2858 0.0000 3.2812
S 0.0589 0.0000 4.9129
S 1.1920 1.9741 1.6860
S 3.3797 1.9741 4.8765
S 4.5127 0.0000 1.6496
```

Main lines, sorted by position (10 to 80 degrees two-theta):
two_theta, Rel. int., index
13.5, 47.0, 0 0 1
26.4, 19.7, 1 1 0
27.6, 35.6, 2 0 0
31.9, 100.0, 1 1 1
34.7, 14.2, 2 0 1
45.4, 35.9, 1 1 -3
45.9, 34.6, 0 2 0
57.0, 17.8, 2 2 -2
75.3, 15.4, 0 2 4
76.1, 14.9, 1 3 1


Record 1
This entry pairs a crystal structure of SrBe5As4 with its computed powder XRD pattern. Radiation: CuKα. Structure: a PBE-relaxed structure.
Kinematic intensities with the Lorentz-polarization factor, no thermal factor.

Most intense lines, 10 to 90 degrees two-theta, sorted by position:
d_spacing, intensity
5.096, 233
3.604, 384
2.548, 481
2.502, 1000
2.055, 206
1.462, 314

Structure:
Cell: 10.1926 10.1926 3.4771 Å, 90.00 90.00 90.00°
Fractional positions:
Sr1 0.2500 0.7500 0.0000
Sr2 0.7500 0.2500 0.0000
Be1 0.1432 0.1432 0.0076
Be2 0.1432 0.3568 0.0076
Be3 0.2500 0.2500 0.5091
Be4 0.3568 0.1432 0.0076
Be5 0.3568 0.3568 0.0076
Be6 0.6432 0.6432 0.9924
Be7 0.6432 0.8568 0.9924
Be8 0.7500 0.7500 0.4909
Be9 0.8568 0.6432 0.9924
Be10 0.8568 0.8568 0.9924
As1 0.0162 0.2500 0.5057
As2 0.2500 0.0162 0.5057
As3 0.2500 0.4838 0.5057
As4 0.4838 0.2500 0.5057
As5 0.5162 0.7500 0.4943
As6 0.7500 0.5162 0.4943
As7 0.7500 0.9838 0.4943
As8 0.9838 0.7500 0.4943

---

Record 2
This entry pairs a crystal structure of Ce4PaN4 with its computed powder XRD pattern. Radiation: CuKα. Structure: a PBE-relaxed structure.
Kinematic intensities with the Lorentz-polarization factor, no thermal factor.

Most intense lines, 10 to 90 degrees two-theta, sorted by position:
d_spacing, intensity
2.886, 1000
2.503, 451
2.491, 221
1.766, 386
1.511, 149
1.507, 151

Structure:
Cell: 6.1361 6.1361 8.6678 Å, 118.45 118.45 33.46°
Fractional positions:
Ce1 0.1052 0.1052 0.4019
Ce2 0.3004 0.3004 0.1977
Ce3 0.6996 0.6996 0.8023
Ce4 0.8948 0.8948 0.5981
Pa1 0.5000 0.5000 0.0000
N1 0.0934 0.0934 0.9087
N2 0.3086 0.3086 0.7100
N3 0.6914 0.6914 0.2900
N4 0.9066 0.9066 0.0913

---

Record 3
This entry pairs a crystal structure of CeTm5Bi6 with its computed powder XRD pattern. Radiation: CuKα. Structure: a PBE-relaxed structure.
Kinematic intensities with the Lorentz-polarization factor, no thermal factor.

Most intense lines, 10 to 90 degrees two-theta, sorted by position:
d_spacing, intensity
3.156, 1000
2.231, 780
1.822, 283
1.578, 134
1.411, 370
1.288, 275

Structure:
Cell: 7.7298 7.7298 7.7334 Å, 99.60 99.60 120.04°
Fractional positions:
Ce1 0.0000 0.0000 0.0000
Tm1 0.1638 0.8362 0.5000
Tm2 0.3325 0.6675 0.0000
Tm3 0.5000 0.5000 0.5000
Tm4 0.6675 0.3325 0.0000
Tm5 0.8362 0.1638 0.5000
Bi1 0.0850 0.4236 0.2544
Bi2 0.2554 0.2554 0.7490
Bi3 0.4236 0.0850 0.2544
Bi4 0.5764 0.9150 0.7456
Bi5 0.7446 0.7446 0.2510
Bi6 0.9150 0.5764 0.7456

---

Record 4
This entry pairs a crystal structure of Pm2SmDy2Tm with its computed powder XRD pattern. Radiation: CuKα. Structure: a PBE-relaxed structure.
Kinematic intensities with the Lorentz-polarization factor, no thermal factor.

Most intense lines, 10 to 90 degrees two-theta, sorted by position:
d_spacing, intensity
3.099, 1000
2.995, 773
2.946, 762
2.855, 423
2.660, 681
2.198, 722

Structure:
Cell: 6.6034 17.9676 3.3836 Å, 90.00 90.00 90.00°
Fractional positions:
Pm1 0.2318 0.1849 0.0000
Pm2 0.2682 0.6849 0.5000
Pm3 0.7318 0.3151 0.5000
Pm4 0.7682 0.8151 0.0000
Sm1 0.0000 0.5000 0.0000
Sm2 0.5000 0.0000 0.5000
Dy1 0.2301 0.3538 0.5000
Dy2 0.2699 0.8538 0.0000
Dy3 0.7301 0.1462 0.0000
Dy4 0.7699 0.6462 0.5000
********

What is needed: filter the listing earlier on: keep the lines with the word "Most".

Most intense lines, 10 to 90 degrees two-theta, sorted by position:
Most intense lines, 10 to 90 degrees two-theta, sorted by position:
Most intense lines, 10 to 90 degrees two-theta, sorted by position:
Most intense lines, 10 to 90 degrees two-theta, sorted by position: